A younger Narendra Modi and Murli Manohar Joshi at Lal Chowk on 26 January 1992. (Source: Twitter)
A younger Narendra Modi and Murli Manohar Joshi at Lal Chowk on 26 January 1992. (Source: Twitter) 

We Are Not Prisoners Of History: It Is We Who Create History!

BySumeet Bhasin

The mandate of 303 combined with Amit Shah as the Home Minister was all that Modi needed to finally deliver on one of the hardest promises in the manifesto of BJP since decades.

No matter how you look at it, a historical blunder has been corrected today while history has been made in Parliament by the Modi government.

By now the suspense on developments in Kashmir are over and somehow all that was being speculated has come true. Earlier today, the Home Minister Amit Shah moved the resolution to abrogate Article 370 and proposed bifurcation of the state into two union territories.

This should not come as a surprise as the Bharatiya Janata Party (BJP) since the Jan Sangh days has been consistently advocating a removal of Article 370. The issue of full integration of Jammu and Kashmir with the Union of India has been a prominent feature in BJP’s manifesto.

Therefore, when we went to polls in 2019, we asked a mandate for our manifesto which included the issue of Article 370. The fact that we were blessed with 303 seats reflects the popular support towards this issue.

But, why is Article 370 so important for the BJP? The answer to this is in the history of the BJP and its deep ties with the cause of national integration. After Pakistan’s attack on Jammu and Kashmir and Hari Singh’s decision to sign the Instrument of Accession to India, the Indian Army retaliated and freed two thirds of the state from illegal occupation by Pakistan.

However, Nehru ordered a unilateral ceasefire before the army could regain control over the entire state.

Dr Shayama Prasad Mukherjee, who was a minister in the Nehru cabinet, resigned and started the Jan Sangh primarily as a reaction to this historic blunder combined with the silence of the Indian administration on the brutal repression of Hindus in Pakistan.

Therefore, the very birth of the Jan Sangh, which later became the BJP, was driven by the intention of creating a political party that wouldn’t compromise on national interest for petty political gains.

Eventually, when 500 princely states became a part of the Union of India, Nehru gave special status to the state of J&K under Article 370 of the Indian constitution. What it meant was that no Indian citizen could visit the state without a tourist permit (or a visa) and that it could have its own constitution, flag and even a prime minister.

This was unacceptable to Dr Mukherjee who, as a mark of his protest, decided to enter J&K without a permit. On 11 May 1953 he succeeded but was arrested at the Lakhanpur check post and he told a young Vajpayee to go tell the people of India that he had entered the state without a permit.

On 23 June 1953 Dr Mukherjee was pronounced dead in prison under suspicious conditions and this was the first sacrifice in independent India. This sacrifice paved the way for us to enter the state without any permission.

The evolving situation of Kashmir became such that due to special provisions, development of the state got stalled as people from outside the state could not buy property. This restricted investments, curtailed the scope of employment, growth and opportunities for generations.

The affluent people of Kashmir benefitted from the system as they were able to grab political power through rigged elections, and corruption became rampant across the state.

Consequently, fundamentalist tendencies amongst the youth became common due to lack of opportunities for education or jobs. During the late ‘80s and early ‘90s, it was a given that an Indian could not hoist our national flag in Srinagar’s Lal Chowk.

This was unacceptable to the BJP; so two leaders set out to do what was considered as impossible. One of these leaders was Dr Murli Manohar Joshi while the other was none other than our current Prime Minister, Narendra Modi. Their Ekta Yatra — from Kanyakumari to Lal Chowk — was successful as despite terrorists’ threat, on 26 January 1992, they managed to hoist the national flag at Lal Chowk.

These developments led to a unanimous resolution being passed by the Parliament on Kashmir in 1994, where it stated that entire Kashmir was a part of India and that Pakistan was an illegal occupant of some part of the state, which must be rightfully claimed.

Since then, during Atal Bihari Vajpayee’s tenure, there were many attempts to restore peace in the Valley as he believed that development was Kashmir’s solution. Despite his outreach in terms of more budgetary allocations, he lacked the mandate to find a political solution that looked at complete integration of Kashmir.

During the UPA government, Kashmir went back to the business-as-normal approach as political leaders in Delhi stopped trying to find a solution to the Kashmir issue.

### Crystal structures from another source follow
- - -
# 1
Material: FeAgS2
Method: DFT, PBE-GGA
State: relaxed

abc: 5.6202 5.6202 10.2832
angles: 90.00 90.00 90.00
With the nearest neighbours (Å) after each atom.
Space group I-42d (No. 122)
Unique sites:
Fe1 0.0000 0.0000 0.0000  4 S 2.21
Ag1 0.0000 0.0000 0.5000  4 S 2.55
S1 0.1980 0.2500 0.1250  2 Fe 2.21

=====

# 2
Material: FeAgS2
Method: DFT, PBE-GGA
State: relaxed

abc: 3.3689 3.3689 20.4667
angles: 90.00 90.00 120.00
With the nearest neighbours (Å) after each atom.
Space group R3m (No. 160, hexagonal axes)
Unique sites:
Fe1 0.0000 0.0000 0.0000  6 S 2.27-2.30
Ag1 0.0000 0.0000 0.8440  1 S 2.45
S1 0.0000 0.0000 0.2732  3 Fe 2.30
S2 0.0000 0.0000 0.7241  3 Fe 2.27, 1 Ag 2.45

=====

# 3
Material: FeAg2SnS4
Method: DFT, PBE-GGA
State: relaxed

abc: 5.6031 5.6031 11.8751
angles: 90.00 90.00 90.00
With the nearest neighbours (Å) after each atom.
Space group I-42m (No. 121)
Unique sites:
Fe1 0.0000 0.0000 0.0000  4 S 2.30
Ag1 0.0000 0.5000 0.2500  4 S 2.56
Sn1 0.0000 0.0000 0.5000  4 S 2.50
S1 0.2344 0.2344 0.1144  1 Fe 2.30, 1 Sn 2.50, 2 Ag 2.56

=====

# 4
Material: Fe3AgSn2S8
Method: DFT, PBE-GGA
State: relaxed

abc: 7.0754 7.3829 10.2696
angles: 90.00 90.00 90.00
With the nearest neighbours (Å) after each atom.
Space group Imm2 (No. 44)
Unique sites:
Fe1 0.0000 0.0000 0.0000  4 S 2.31-2.40
Fe2 0.2465 0.0000 0.6188  6 S 2.25-2.42
Ag1 0.0000 0.5000 0.7233  4 S 2.47-2.52
Sn1 0.0000 0.2456 0.3687  6 S 2.57-2.64
S1 0.0000 0.1991 0.6171  2 Fe 2.28, 1 Ag 2.47
S2 0.0000 0.2808 0.1179  3 Fe 2.40-2.42, 1 Sn 2.59
S3 0.2404 0.0000 0.8481  2 Fe 2.31-2.36
S4 0.2467 0.5000 0.9002  1 Fe 2.25

=====

# 5
Material: FeAgSe2
Method: DFT, PBE-GGA
State: relaxed

abc: 5.9152 5.9152 10.8149
angles: 90.00 90.00 90.00
With the nearest neighbours (Å) after each atom.
Space group I-42d (No. 122)
Unique sites:
Fe1 0.0000 0.0000 0.0000  4 Se 2.35
Ag1 0.0000 0.0000 0.5000  4 Se 2.65
Se1 0.2062 0.7500 0.1250  2 Fe 2.35

=====

# 6
Material: GaAg3
Method: DFT, PBE-GGA
State: relaxed

abc: 4.1354 4.1354 4.1354
angles: 90.00 90.00 90.00
With the nearest neighbours (Å) after each atom.
Space group Pm-3m (No. 221)
Unique sites:
Ga1 0.0000 0.0000 0.0000  12 Ag 2.92
Ag1 0.0000 0.5000 0.5000  4 Ga 2.92, 8 Ag 2.92

=====

# 7
Material: GaAg2
Method: DFT, PBE-GGA
State: relaxed

abc: 7.8825 7.8825 2.9290
angles: 90.00 90.00 120.00
With the nearest neighbours (Å) after each atom.
Space group P-62m (No. 189)
Unique sites:
Ga1 0.0000 0.0000 0.0000  9 Ag 2.82-2.85, 2 Ga 2.93
Ga2 0.3333 0.6667 0.5000  9 Ag 2.74-2.92, 2 Ga 2.93
Ag1 0.0000 0.3055 0.5000  4 Ga 2.74-2.82, 8 Ag 2.93-3.03
Ag2 0.0000 0.6390 0.0000  5 Ga 2.85-2.92, 8 Ag 2.93-3.03

=====

# 8
Material: GaAg3
Method: DFT, PBE-GGA
State: relaxed

abc: 2.9592 2.9592 9.3113
angles: 90.00 90.00 120.00
With the nearest neighbours (Å) after each atom.
Space group P-6m2 (No. 187)
Unique sites:
Ga1 0.0000 0.0000 0.0000  6 Ag 2.83, 6 Ga 2.96
Ag1 0.0000 0.0000 0.5000  12 Ag 2.95-2.96
Ag2 0.6667 0.3333 0.2421  3 Ga 2.83, 9 Ag 2.95-2.96
- - -

Things changed when the Modi government came to the centre with a full majority. It looked like things could improve and the government gave a chance to find a political resolution post the Kashmir elections when Mufti and the BJP decided to form a government in a coalition.

But the BJP didn’t compromise on its commitment towards national integration and post the demise of Mufti, when Mehbooba started to engage with separatists the alliance was called off.

Since then, the state has been governed well and the Governor has been looking into the extent of corruption that the state had witnessed over generations of misrule by the two political families. There was a need to find a solution towards ending the chronic mis-governance in the state and towards ensuring its complete integration with the Union of India as envisaged by Dr Mukherjee, Dr Joshi and Atal ji.

The fact that a young Modi was an integral part of the Ekta Yatra also reinforces how important this issue is personally to the PM, who has mentioned Article 370 in several of his early speeches during the ‘90s.

The mandate of 303 combined with Amit Shah as the Home Minister was all that Modi needed to finally deliver on one of the hardest promises in the BJP manifesto. No matter how you look at it, a historical blunder has been corrected today while history has been made in the Parliament by the Modi government.

It would serve us well to always remember that we’re not slaves of history — it is we who create history, and therefore, we must expect more such historical blunders to be corrected in the next five years.